CANON CITY, Colo. (AP) —CANON CITY, Colo. (AP) — Tourism in Fremont County, and in much of the state, took an economic hit after the Iron Mountain Fire moved fast and furious in the Copper Gulch area after igniting on June 2, 2002. Tourism in Fremont County, and in much of the state, took an economic hit after the Iron Mountain Fire moved fast and furious in the Copper Gulch area after igniting on June 2, 2002.
CANON CITY, Colo. (AP) — Tourism in Fremont County, and in much of the state, took an economic hit after the Iron Mountain Fire moved fast and furious in the Copper Gulch area after igniting on June 2, 2002.
The fire ultimately covered 4,439 acres in five days and left 106 structures in ashes. Less than a week later, on June 8, the Hayman Fire northwest of Colorado Springs erupted, covering 138,114 acres and causing six deaths. It caused nearly $40 million in firefighting costs, burned 133 homes and forced the evacuation of 5,340 people.
But it wasn’t the actual fires that contributed to the decrease in visitors to the Fremont County area. It allegedly was former Gov. Bill Owens’ comment that “all of Colorado is burning today,” which sparked some heated response within the tourism industry.
“It certainly was a comment that resounded across the state,” said Andy Neinas, owner and operator of Echo Canyon River Expeditions. “I think it certainly had an impact on many of us because it was an inaccurate statement about what was going on in Colorado.”
Neinas said unfortunately, he vividly recalls the day the Iron Mountain Fire started more than 10 years ago.
“I remember watching it happen and the column of smoke that just was very, very dark,” he said. But Echo Canyon didn’t miss a single day of business because of the fires.
“We got a few calls from people asking about the fires, but it really was not that big of a deal for us,” he said. “Our industry was not evacuated the way the bridge was.”
The fire command asked Mike Bandera, general manager of the Royal Gorge Bridge & Park, to evacuate and close the park that afternoon of June 2, but it was open for business again the following day.
“But people did not know that we were open the next day,” Bandera said. “All they had heard was that the bridge was closed.”
Attendance dropped by 30 to 50 percent per day for at least two weeks.
“Then the other fires came on and all of the negative publicity that came with those fires affected our attendance for the rest of the year,” he said. “Overall attendance was down about five percent.”
Bus tours cancelled their trips and local campgrounds also began to receive cancellations.
“The overall negative publicity and the smoke hanging and the smell caused people to cancel their vacations to Colorado,” Bandera said.
The following year didn’t seem promising for tourism with the beginning of the Iraq War in March of 2003.
“The day the war started, we started having the same affect — 30 to 50 percent down per day for several weeks,” he said. “It ended up affecting us that whole year.”
Between the terrorist attacks on Sept. 11, 2001, the war, the wildfires and the downturn in the economy, Bandera said those years were brutal on tourism not only in the state, but also worldwide.
Neinas said the seasons between 2002 and 2009 were profitable for rafting, with 2009 taking a bit of a hit because of the economy. He said 2010 and 2011 were very strong seasons for the commercial river industry as a whole. Bandera said 2009, 2010 and 2011 were the best years ever for the Royal Gorge.
Bandera and Neinas said the 2012 season is off to a great start.
Inserted here: materials data:
(1)
DFT (GGA-PBE) results for Na10Ti4Nb4Si11SO48 after structural relaxation.

Energy ... -7.51 eV per atom
Space-group type ... No. 1
Energy of formation from the pure elements ... -22398 kJ/mol of formula units

abc: 17.9501 8.9857 22.4328
angles: 90.03 90.01 120.00
Fractional coordinates of all 234 atoms:
O  0.9190  0.2986  0.5248
O  0.0874  0.6895  0.7561
O  0.2539  0.1382  0.6411
Si  0.6646  0.3702  0.4150
O  0.2668  0.8347  0.4736
O  0.7306  0.1547  0.2461
O  0.8452  0.5173  0.2435
O  0.8256  0.4990  0.9207
O  0.9051  0.9739  0.4094
O  0.7522  0.1388  0.6406
O  0.0778  0.1863  0.4087
Si  0.1646  0.3695  0.4145
O  0.9186  0.5383  0.0249
O  0.9028  0.9691  0.6914
Ti  0.3351  0.3323  0.6850
O  0.7673  0.8334  0.4741
Ti  0.8406  0.3503  0.1862
O  0.8509  0.5346  0.5256
Na  0.5071  0.9977  0.0017
Si  0.5219  0.3770  0.9167
Nb  0.8364  0.3326  0.6894
Nb  0.3324  0.3402  0.9788
Si  0.8320  0.6215  0.5843
O  0.5711  0.6309  0.3592
Si  0.0054  0.7164  0.7511
O  0.5097  0.8379  0.4086
Na  0.3285  0.3394  0.8304
O  0.1796  0.5009  0.0778
O  0.7640  0.8268  0.7553
Si  0.9800  0.6306  0.0847
O  0.5815  0.1985  0.6930
O  0.6833  0.8655  0.8598
O  0.5135  0.8316  0.6922
O  0.9858  0.8075  0.8082
Na  0.8163  0.9998  0.2502
O  0.2572  0.8198  0.7557
O  0.2287  0.3001  0.7448
O  0.3468  0.5320  0.5237
O  0.1502  0.4556  0.7547
O  0.7502  0.8638  0.3550
O  0.0131  0.1975  0.1910
O  0.3461  0.1737  0.7441
O  0.1798  0.8575  0.5775
O  0.9142  0.8018  0.3090
O  0.5818  0.4693  0.9757
O  0.3450  0.5168  0.2437
O  0.2666  0.6985  0.9750
Na  0.0103  0.0095  0.0008
Si  0.3329  0.6169  0.5849
Si  0.3081  0.6625  0.9140
O  0.9032  0.8346  0.1919
O  0.8249  0.1492  0.4213
Ti  0.1654  0.6502  0.3139
O  0.8498  0.1658  0.0263
O  0.2542  0.3653  0.4214
O  0.7617  0.7033  0.2549
Si  0.0254  0.3768  0.9142
Na  0.0167  0.7026  0.5845
Na  0.3486  0.0322  0.9160
O  0.0715  0.6310  0.3602
Si  0.9806  0.3298  0.5839
Si  0.3539  0.7062  0.2497
Na  0.8342  0.7001  0.0868
Nb  0.3307  0.3294  0.4789
Na  0.0167  0.3304  0.0855
Si  0.0257  0.6753  0.4145
O  0.1853  0.8673  0.8591
O  0.9858  0.1653  0.3081
S  0.1425  0.2847  0.7498
Si  0.3311  0.0476  0.0859
O  0.0717  0.6343  0.0784
O  0.9102  0.2971  0.2449
Na  0.6629  0.6678  0.6645
O  0.1007  0.1771  0.8039
O  0.0786  0.9698  0.9082
O  0.5931  0.0265  0.5886
O  0.0722  0.5092  0.5783
Ti  0.9980  0.9979  0.8544
Si  0.6454  0.2877  0.7501
O  0.4178  0.3028  0.5250
Na  0.4956  0.3599  0.7485
O  0.4130  0.5118  0.7450
O  0.3197  0.4947  0.6415
O  0.5835  0.6982  0.4735
Si  0.8595  0.0036  0.7500
O  0.1483  0.8297  0.9729
O  0.8191  0.5044  0.6432
O  0.4826  0.1584  0.5886
O  0.3187  0.1368  0.1449
O  0.0815  0.6969  0.4762
Na  0.8536  0.0351  0.9154
O  0.7503  0.8503  0.0790
Si  0.8077  0.9515  0.4137
O  0.4290  0.4990  0.4221
O  0.5822  0.6843  0.7551
Na  0.8318  0.3267  0.8322
O  0.7364  0.1671  0.5256
Si  0.6872  0.0447  0.5840
O  0.4022  0.8401  0.9100
Nb  0.4993  0.9970  0.8540
O  0.0137  0.8313  0.6912
Si  0.8115  0.6649  0.9155
Here the piece continues:
“We’re very optimistic about 2012,” Neinas said. “We’re going to have great family-class water levels this year.”
Currently, revenue is up 17 percent from last year at the Royal Gorge, and attendance is up six percent.
“We’re heading toward another record-breaking year,” Bandera said. “It seems like the gasoline prices are cooperating and the vacationers are out and about and traveling at a good rate.”